Ingrown hair after hair removal

With the advent of various types of hair removal, ingrown hair becomes common. Ingrown hair on the legs and other exposed parts of the body have a non-aesthetic appearance, and moreover, they can leave pigmented spots. The ingrown hair in the bikini zone is particularly troublesome, not only because of external changes, but also because of the itching accompanying the inflammation.

To date, more and more girls and women are facing this problem. And in order to solve it you need to understand the mechanism of ingrown ingrown hair after epilation. Then you can determine for yourself how to deal with ingrown hair and prevent their appearance.

Ingrown because of hair removal hair appear due to two factors - densification of the skin and hair weakening. When the skin coarsens, the hairs can not sprout through it, bend, and continue to grow, only already inside the skin, or in a circle. At the site of ingrowth, there is inflammation, there is a strong itch. The same can happen if the hair becomes weak - it can not germinate through the skin and also changes the direction of growth. What to do if you began to appear ingrown hair, you must decide based on the causes of the problem. If a certain method of hair removal is the cause of ingrown hair, then try using other methods.

That after hair removal did not appear ingrown hair, you need to follow some recommendations.

(Misplaced data records)
/*
This record from the Alexandria database describes a geometry-optimized KAlIn structure. The functional is GGA-PBE.

a = 5.007 Å, b = 5.007 Å, c = 4.175 Å
α = 90.00°, β = 90.00°, γ = 120.00°
Fractional coordinates of all 3 atoms:
In 0.667 0.333 0.167
Al 0.000 0.000 0.167
K 0.333 0.667 0.667

N(E_F) (states/eV/f.u.): 1.25
Energy above the most stable polymorph in this dataset (meV/atom): 0.0
Total DFT energy (no corrections) (eV/atom): -2.423
SG: P-6m2 (187)
V (Å³/atom): 30.217
Density (Mg/m³): 3.31
E_form (kcal/mol of atoms): 2.4
*/

Against ingrown hair you will be helped by special products that exist in the form of creams, gels, sprays. They are used to care for the skin to prevent undesirable consequences. The most convenient means of ingrown hairs on the legs are special wipes, which simply wipe the skin after epilation. Sometimes, even with the implementation of preventive procedures, after hair removal, ingrown hairs appear. This may indicate either an incorrectly chosen method of hair removal, or the use of unsuitable skin care products. In any case, ingrown hair should be properly removed so that the problem does not become regular and does not affect the mental and physical well-being.

Removal of ingrown hair

How to get rid of ingrown hairs may suggest a specialist who is engaged in epilation. He will help to choose a good tool and explain in detail how to take care of the skin.

It is also better to entrust a specialist and treatment of ingrown hair, as improper actions can aggravate the situation. Remedy for ingrown hairs should be selected with care, to ensure that there is no irritation or allergic reactions. At home, ingrown hair is removed with tweezers and needles, which must be thoroughly disinfected. With self-removal increases the risk of scars and pigmented spots from ingrown hairs. Therefore, it is more reliable to apply to specialists and remove hair after hair removal in specialized cosmetology cabinets. In no case should you try to pull out or squeeze out ingrown hair - this will increase inflammation and not solve the problem.

The ingrown after hair removal hair problem is common, but easily solved. Approach professionally to the procedure for removing unwanted hair, adhere to the rules of skin care before and after hair removal, listen to the advice of specialists and then you will be able to avoid problems associated with ingrown hairs.